== Exercise ==
The reader should duplicate the contents further down unchanged.
== Entries ==
~~~
This entry pairs a crystal structure of Pr2Sm2CI4Cl with its computed X-ray diffraction stick pattern. Radiation: Cu Kα X-rays. Structure: DFT lattice parameters and positions (PBE).

Cell and atoms:
a b c (Å): 19.457 4.032 8.450
angles (deg): 90.00 101.96 90.00
Space group C2/m (No. 12)
Asymmetric unit:
Pr (0.001, 0.000, 0.289) x4
Sm (0.130, 0.500, 0.566) x4
C (0.000, 0.500, 0.500) x2
I (0.165, 0.000, 0.851) x4
I (0.171, 0.000, 0.317) x4
Cl (0.000, 0.500, 0.000) x2

Peak list (6 most intense, 5 to 70 degrees two-theta, low angle first)
2theta  I_rel
10.7  36
28.1  42
30.7  100
32.3  34
41.9  26
42.2  24
~~~
== Done ==
This entry pairs a crystal structure of Pr2Sm2CI4Cl with its computed X-ray diffraction stick pattern. Radiation: Cu Kα X-rays. Structure: DFT lattice parameters and positions (PBE).

Cell and atoms:
a b c (Å): 19.457 4.032 8.450
angles (deg): 90.00 101.96 90.00
Space group C2/m (No. 12)
Asymmetric unit:
Pr (0.001, 0.000, 0.289) x4
Sm (0.130, 0.500, 0.566) x4
C (0.000, 0.500, 0.500) x2
I (0.165, 0.000, 0.851) x4
I (0.171, 0.000, 0.317) x4
Cl (0.000, 0.500, 0.000) x2

Peak list (6 most intense, 5 to 70 degrees two-theta, low angle first)
2theta  I_rel
10.7  36
28.1  42
30.7  100
32.3  34
41.9  26
42.2  24